Wanted:
Your job: copy the data further down from the line with "61.18" to the end exactly.

Listing:
........
Calculated powder diffraction line list
Compound: Pa3B9Mo2
Radiation: Cu Kα (λ = 1.5418 Å)
Structure: a crystal structure in Alexandria, relaxed with GGA-PBE
Intensities are scaled so that the largest is 100.

The 6 most intense peaks (2θ from 15° to 90°), by intensity:
2θ = 30.8°, rel. 100.0, hkl 1 1 0
2θ = 40.2°, rel. 79.0, hkl 1 1 4
2θ = 25.2°, rel. 78.7, hkl 0 0 4
2θ = 42.1°, rel. 68.7, hkl 1 2 3
2θ = 22.3°, rel. 55.1, hkl 0 1 3
2θ = 23.7°, rel. 44.8, hkl 0 2 0

Atomic structure:
Unit cell a=3.148 b=7.513 c=14.109 alpha=90.00 beta=90.00 gamma=90.00
Space group Immm (No. 71)
Asymmetric unit:
Pa1 0.000 0.000 0.000 [2 per cell]
Pa2 0.000 0.000 0.279 [4 per cell]
B1 0.000 0.247 0.136 [8 per cell]
B2 0.000 0.363 0.360 [8 per cell]
B3 0.000 0.500 0.000 [2 per cell]
Mo1 0.000 0.194 0.500 [4 per cell]

----------

No. 1
For NaMg14CO16, a PBE-relaxed structure gives the theoretical powder X-ray diffraction pattern in this record (CuKα).
Neutral-atom scattering factors, no anomalous dispersion.

Cell: 4.2787 8.3965 8.5814 Å, 90.00 90.00 90.00°
Space group Pmmm (No. 47)
Asymmetric unit:
Na: 0.0000 0.0000 0.0000 [1 per cell]
Mg: 0.0000 0.0000 0.5000 [1 per cell]
Mg: 0.0000 0.2501 0.2520 [4 per cell]
Mg: 0.0000 0.5000 0.5000 [1 per cell]
Mg: 0.5000 0.0000 0.2469 [2 per cell]
Mg: 0.5000 0.2493 0.5000 [2 per cell]
Mg: 0.5000 0.2513 0.0000 [2 per cell]
Mg: 0.5000 0.5000 0.2452 [2 per cell]
C: 0.0000 0.5000 0.0000 [1 per cell]
O: 0.0000 0.0000 0.2611 [2 per cell]
O: 0.0000 0.2548 0.5000 [2 per cell]
O: 0.0000 0.2929 0.0000 [2 per cell]
O: 0.0000 0.5000 0.2454 [2 per cell]
O: 0.5000 0.0000 0.0000 [1 per cell]
O: 0.5000 0.0000 0.5000 [1 per cell]
O: 0.5000 0.2515 0.2473 [4 per cell]
O: 0.5000 0.5000 0.0000 [1 per cell]
O: 0.5000 0.5000 0.5000 [1 per cell]

The 6 most intense peaks (10 to 90 degrees two-theta), by angle:
(hkl)	d [Å]	Position (°2θ)	I/Imax
0 0 4	2.145	42.12	98.1
2 0 0	2.139	42.24	97.8
0 4 0	2.099	43.09	87.0
2 0 4	1.515	61.18	54.5
2 4 0	1.499	61.88	100.0
2 4 4	1.228	77.74	45.4


No. 2
For Al2CdS4, a PBE-relaxed structure gives the theoretical powder X-ray diffraction pattern in this record (CuKα).
Neutral-atom scattering factors, no anomalous dispersion.

Cell: 10.3747 10.3747 10.3747 Å, 90.00 90.00 90.00°
Space group Fd-3m (No. 227, origin choice 2)
Asymmetric unit:
Al: 0.0000 0.0000 0.0000 [16 per cell]
Cd: 0.1250 0.1250 0.6250 [8 per cell]
S: 0.0147 0.0147 0.2353 [32 per cell]

The 6 most intense peaks (10 to 90 degrees two-theta), by angle:
(hkl)	d [Å]	Position (°2θ)	I/Imax
2 2 0	3.668	24.27	100.0
3 1 1	3.128	28.54	96.7
3 3 1	2.380	37.80	29.5
4 2 2	2.118	42.70	37.5
5 1 1	1.997	45.43	57.6
4 4 0	1.834	49.71	74.4


No. 3
For TmGeRu, a PBE-relaxed structure gives the theoretical powder X-ray diffraction pattern in this record (CuKα).
Neutral-atom scattering factors, no anomalous dispersion.

Cell: 6.9603 4.3799 7.2501 Å, 90.00 90.00 90.00°
Space group Pnma (No. 62)
Asymmetric unit:
Tm: 0.0105 0.2500 0.1924 [4 per cell]
Ge: 0.2055 0.2500 0.6075 [4 per cell]
Ru: 0.1566 0.7500 0.4378 [4 per cell]

The 6 most intense peaks (10 to 90 degrees two-theta), by angle:
(hkl)	d [Å]	Position (°2θ)	I/Imax
1 1 2	2.592	34.61	69.2
2 1 1	2.551	35.19	100.0
2 0 2	2.511	35.77	30.0
3 0 1	2.210	40.84	28.5
0 2 0	2.190	41.22	43.5
0 1 3	2.116	42.73	38.0


No. 4
For PrNi5, a PBE-relaxed structure gives the theoretical powder X-ray diffraction pattern in this record (CuKα).
Neutral-atom scattering factors, no anomalous dispersion.

Cell: 4.9707 4.9707 3.9611 Å, 90.00 90.00 120.00°
Space group P6/mmm (No. 191)
Asymmetric unit:
Pr: 0.0000 0.0000 0.0000 [1 per cell]
Ni: 0.0000 0.5000 0.5000 [3 per cell]
Ni: 0.3333 0.6667 0.0000 [2 per cell]

The 6 most intense peaks (10 to 90 degrees two-theta), by angle:
(hkl)	d [Å]	Position (°2θ)	I/Imax
1 0 1	2.915	30.67	44.8
1 1 0	2.485	36.14	30.8
2 0 0	2.152	41.98	34.9
1 1 1	2.105	42.96	100.0
0 0 2	1.981	45.81	26.4
3 0 1	1.349	69.70	22.2

----------

# CaP2PdO7
........

Response:
2 0 4	1.515	61.18	54.5
2 4 0	1.499	61.88	100.0
2 4 4	1.228	77.74	45.4


No. 2
For Al2CdS4, a PBE-relaxed structure gives the theoretical powder X-ray diffraction pattern in this record (CuKα).
Neutral-atom scattering factors, no anomalous dispersion.

Cell: 10.3747 10.3747 10.3747 Å, 90.00 90.00 90.00°
Space group Fd-3m (No. 227, origin choice 2)
Asymmetric unit:
Al: 0.0000 0.0000 0.0000 [16 per cell]
Cd: 0.1250 0.1250 0.6250 [8 per cell]
S: 0.0147 0.0147 0.2353 [32 per cell]

The 6 most intense peaks (10 to 90 degrees two-theta), by angle:
(hkl)	d [Å]	Position (°2θ)	I/Imax
2 2 0	3.668	24.27	100.0
3 1 1	3.128	28.54	96.7
3 3 1	2.380	37.80	29.5
4 2 2	2.118	42.70	37.5
5 1 1	1.997	45.43	57.6
4 4 0	1.834	49.71	74.4


No. 3
For TmGeRu, a PBE-relaxed structure gives the theoretical powder X-ray diffraction pattern in this record (CuKα).
Neutral-atom scattering factors, no anomalous dispersion.

Cell: 6.9603 4.3799 7.2501 Å, 90.00 90.00 90.00°
Space group Pnma (No. 62)
Asymmetric unit:
Tm: 0.0105 0.2500 0.1924 [4 per cell]
Ge: 0.2055 0.2500 0.6075 [4 per cell]
Ru: 0.1566 0.7500 0.4378 [4 per cell]

The 6 most intense peaks (10 to 90 degrees two-theta), by angle:
(hkl)	d [Å]	Position (°2θ)	I/Imax
1 1 2	2.592	34.61	69.2
2 1 1	2.551	35.19	100.0
2 0 2	2.511	35.77	30.0
3 0 1	2.210	40.84	28.5
0 2 0	2.190	41.22	43.5
0 1 3	2.116	42.73	38.0


No. 4
For PrNi5, a PBE-relaxed structure gives the theoretical powder X-ray diffraction pattern in this record (CuKα).
Neutral-atom scattering factors, no anomalous dispersion.

Cell: 4.9707 4.9707 3.9611 Å, 90.00 90.00 120.00°
Space group P6/mmm (No. 191)
Asymmetric unit:
Pr: 0.0000 0.0000 0.0000 [1 per cell]
Ni: 0.0000 0.5000 0.5000 [3 per cell]
Ni: 0.3333 0.6667 0.0000 [2 per cell]

The 6 most intense peaks (10 to 90 degrees two-theta), by angle:
(hkl)	d [Å]	Position (°2θ)	I/Imax
1 0 1	2.915	30.67	44.8
1 1 0	2.485	36.14	30.8
2 0 0	2.152	41.98	34.9
1 1 1	2.105	42.96	100.0
0 0 2	1.981	45.81	26.4
3 0 1	1.349	69.70	22.2

----------

# CaP2PdO7